• Material:
+++
# 1
PmZn2Au10, relaxed, DFT PBE-GGA; energy relative to the elements = -269 meV per atom; density = 15.09 g/cm3
1.0
0.0000 6.6754 6.7054
2.7596 0.0000 6.7054
2.7596 6.6754 0.0000
Pm Zn Au
1 2 10
Direct
0.0000 0.0000 0.0000 Pm
0.0000 0.5000 0.0000 Zn
0.5000 0.0000 0.5000 Zn
0.0000 0.0000 0.5000 Au
0.0122 0.3372 0.6628 Au
0.2837 0.4930 0.5070 Au
0.3372 0.0122 0.9878 Au
0.4930 0.2837 0.7163 Au
0.5000 0.5000 0.0000 Au
0.5070 0.7163 0.2837 Au
0.6628 0.9878 0.0122 Au
0.7163 0.5070 0.4930 Au
0.9878 0.6628 0.3372 Au

***

# 2
PmZn3Au3, relaxed, DFT PBE-GGA; energy relative to the elements = -371 meV per atom; ΔE to the lowest computed polymorph = 0 meV/atom; density = 11.47 g/cm3
1.0
8.4408 0.0000 0.0000
-4.2204 7.3100 0.0000
0.0000 0.0000 4.3726
Pm Zn Au
2 6 6
Direct
0.3333 0.6667 0.2500 Pm
0.6667 0.3333 0.7500 Pm
0.0089 0.7996 0.2500 Zn
0.2004 0.2093 0.2500 Zn
0.2093 0.0089 0.7500 Zn
0.7907 0.9911 0.2500 Zn
0.7996 0.7907 0.7500 Zn
0.9911 0.2004 0.7500 Zn
0.0571 0.6401 0.7500 Au
0.3599 0.4170 0.7500 Au
0.4170 0.0571 0.2500 Au
0.5830 0.9429 0.7500 Au
0.6401 0.5830 0.2500 Au
0.9429 0.3599 0.2500 Au


NaCo3P3O13, optimized geometry, DFT PBE with a Hubbard U; M_tot = 8.9 μB per cell; DFT total energy = -0.4738 Ry/atom
1.0
7.520 0.000 0.000
0.000 6.099 0.000
-1.797 0.000 10.110
Na Co P O
2 6 6 26
Cartesian
0.901 1.525 1.990 Na
4.822 4.574 8.120 Na
-0.482 1.525 8.094 Co
1.303 4.574 4.441 Co
3.760 0.000 0.000 Co
3.760 3.049 0.000 Co
4.420 1.525 5.669 Co
6.204 4.574 2.016 Co
1.305 4.574 1.153 P
0.518 4.574 7.707 P
1.222 1.525 5.283 P
4.501 4.574 4.827 P
5.205 1.525 2.403 P
4.418 1.525 8.957 P
-0.037 4.574 0.387 O
-0.417 3.381 7.967 O
-0.417 5.767 7.967 O
-0.021 1.525 6.162 O
+++
• Request:
Could you duplicate every line further above that contains the word "meV"?
• Solution:
PmZn2Au10, relaxed, DFT PBE-GGA; energy relative to the elements = -269 meV per atom; density = 15.09 g/cm3
PmZn3Au3, relaxed, DFT PBE-GGA; energy relative to the elements = -371 meV per atom; ΔE to the lowest computed polymorph = 0 meV/atom; density = 11.47 g/cm3